AG Carl Bethel says he been always talking to Bahamians about Marital Rape and LGBT issues…WELL WAIT!



┌──
Molecular formula: C13H29FNbO6
Method: DFT, ωB97M-V with the def2-TZVPD basis set

The LUMO energy comes out at 0.09838 hartree. Its total energy is -1120.86769 a.u. The HOMO-LUMO gap comes out at 7.08 eV.

```
! RIJCOSX wB97M-V def2-TZVPD def2/J DEFGRID3
* xyz -1 1
C -2.495 -2.910 2.127
C -2.575 -3.860 0.966
O -3.583 -4.375 0.712
O -1.482 -4.169 0.232
C -0.794 -3.028 -0.349
C -1.549 -2.391 -1.493
C -2.549 -1.308 -1.065
Nb -1.594 0.668 -0.486
F 0.266 -0.092 -0.205
H -2.296 -3.504 3.015
H -3.457 -2.456 2.278
H -1.741 -2.140 2.038
H -0.576 -2.328 0.446
H 0.136 -3.429 -0.730
H -0.836 -2.001 -2.216
H -2.105 -3.168 -2.019
H -3.225 -1.611 -0.269
H -3.189 -1.111 -1.925
H -2.148 0.303 1.229
H -0.982 2.352 -0.045
H -1.182 0.959 -2.264
H -3.205 1.473 -0.716
O 0.307 0.665 -5.153
C 1.116 -0.075 -4.670
O 1.739 0.268 -3.528
C 2.586 -0.601 -2.783
C 4.006 -0.590 -3.315
C 1.522 -1.355 -5.369
H 2.166 -1.607 -2.735
H 2.572 -0.212 -1.766
H 4.056 -0.961 -4.340
H 4.653 -1.212 -2.693
H 4.398 0.428 -3.322
H 2.277 -1.124 -6.120
H 0.644 -1.766 -5.863
H 1.902 -2.127 -4.702
O -1.305 1.791 2.815
C -0.474 2.553 3.205
└──
## Back to the page

Second time around Attorney General Carl Bethel

Based upon news accounts and commentary upon my Report to the United Nations in Geneva during the recent Universal Periodic Review (UPR) process on Human Rights it has become apparent that there is a great deal of misunderstanding of the nature of the exercise.

The Bahamas has been a member of the United Nations since Independence, and every five years is called upon, along with every other member State, to report on what it has done to live up to the commitments that it made five years previously to address international concerns about Human Rights, which it has previously committed to undertake at the previous UPR held five years before.
Each country is obliged to show the extent to which it has lived up to its commitments or what they are in process of doing to live up to commitments made, and also whether or not it will seek to address other concerns of the international community, which it has not yet committed to address.
Over the past several days and during my absence abroad I have been accused of announcing government policy to the international community without having first announced these matters to the Bahamian people.

These records of molecules were left in the page by mistake.
1.
ORCA calculation (ωB97M-V/def2-TZVPD) on C21H33N5O2STa as an isolated structure in a non-equilibrium geometry.

```
63
Properties=species:S:1:pos:R:3:mulliken_charge:R:1
O 0.42 -4.28 1.37 -0.66
S -0.75 -3.50 1.64 1.00
O -1.03 -3.19 3.00 -0.57
C -2.11 -4.11 0.76 -1.13
Ta -4.25 -3.69 1.52 0.94
H -0.61 -2.31 1.03 0.03
H -1.98 -3.66 -0.22 0.39
H -1.97 -5.18 0.65 0.35
H -4.80 -3.31 -0.23 -0.31
H -4.81 -5.43 1.13 -0.16
H -3.81 -4.31 3.21 -0.30
H -3.74 -1.92 1.86 -0.39
H -5.92 -3.20 2.17 -0.13
N -2.04 1.99 0.73 0.02
C -0.67 2.03 0.79 -0.45
C -0.25 0.96 1.53 -0.14
C -1.41 0.23 1.92 -0.87
C -2.50 0.89 1.41 -0.64
H -2.62 2.65 0.25 0.18
H -0.12 2.82 0.31 0.19
H 0.77 0.71 1.76 0.50
H -1.45 -0.67 2.51 0.75
H -3.55 0.67 1.48 0.40
N 2.37 2.77 -1.00 0.16
C 3.15 1.74 -1.42 -0.59
C 3.16 1.74 -2.79 -0.54
C 2.34 2.83 -3.20 -0.40
C 1.87 3.45 -2.08 -0.77
H 2.19 3.00 -0.04 0.28
H 3.64 1.09 -0.71 0.45
H 3.68 1.05 -3.42 0.42
H 2.11 3.12 -4.22 0.58
H 1.23 4.30 -1.95 0.44
N -8.36 -4.89 3.28 0.04
C -9.20 -3.93 3.77 -0.51
C -10.25 -3.81 2.91 -0.36
C -10.04 -4.73 1.85 -0.35
C -8.86 -5.38 2.11 -0.50
H -7.49 -5.17 3.69 0.20
H -8.96 -3.41 4.69 0.36
H -11.08 -3.13 3.02 0.38
H -10.67 -4.90 0.99 0.38
H -8.33 -6.14 1.55 0.37
N 5.21 3.19 -5.46 0.08
C 5.41 2.30 -6.48 -0.29
C 6.56 2.67 -7.13 -0.56
C 7.07 3.83 -6.48 -0.50
C 6.21 4.12 -5.45 -0.47
H 4.43 3.17 -4.82 0.21
H 4.73 1.49 -6.65 0.36
H 6.99 2.16 -7.98 0.38
H 7.96 4.37 -6.73 0.38
H 6.23 4.91 -4.72 0.36
N 6.49 2.40 3.12 0.04
C 6.40 3.09 1.94 -0.76
C 5.17 2.84 1.40 -0.35
C 4.49 1.96 2.29 0.11
C 5.33 1.71 3.34 -0.87
H 7.29 2.40 3.73 0.18
H 7.22 3.70 1.59 0.37
H 4.80 3.24 0.47 0.40
H 3.50 1.55 2.17 0.52
H 5.20 1.09 4.21 0.38
```

Total charge ... -1
Kohn-Sham gap ... 7.71 eV
Total energy ... -46237.65828 eV
Largest force on an atom ... 1.39 eV Å⁻¹

***

2.
ORCA calculation (ωB97M-V/def2-TZVPD) on C5H7NO as an isolated structure in a non-equilibrium geometry.

```
14
Properties=species:S:1:pos:R:3:mulliken_charge:R:1
C 0.88 -0.35 1.85 -1.12
C 0.50 -0.32 0.40 0.20
C -0.62 -0.95 -0.11 -0.64
C -1.09 -0.50 -1.35 -0.06
N -0.47 0.52 -1.91 -0.40
C 0.11 1.66 -0.53 0.11
O 0.67 2.63 -0.83 -0.34
H 1.63 -1.14 2.03 0.30
H 0.02 -0.55 2.48 0.35
H 1.34 0.60 2.16 0.31
H 1.32 -0.12 -0.29 0.40
H -1.28 -1.53 0.54 0.29
H -2.03 -0.88 -1.75 0.37
H -0.96 0.93 -2.69 0.23
```

Kohn-Sham gap ... 9.12 eV
Total energy ... -8833.50089 eV
Energy above the lowest of the compared OMol25 structures with the same formula, charge and spin ... 62.3 kcal per mole
Largest force on an atom ... 1.26 eV Å⁻¹

***

3.
ORCA calculation (ωB97M-V/def2-TZVPD) on a 2-piece molecular cluster, C2H7N2 overall in a non-equilibrium geometry.

```
11
Properties=species:S:1:pos:R:3:mulliken_charge:R:1
C -2.16 0.41 0.71 -0.30
C -0.94 0.18 0.00 0.01
N 2.25 -0.10 0.01 -0.77
N -1.99 0.03 -0.70 -0.13
H -2.55 -0.48 1.18 0.25
H -2.64 1.34 0.96 0.28
H 0.07 0.47 -0.19 0.59
H 3.23 -0.06 0.24 0.25
H 2.20 -0.01 -1.09 0.26
H -2.33 0.10 -1.68 0.33
H 1.87 -1.04 0.13 0.24
```

Total charge ... +1

Nothing could be further from the truth. Over the past month or more I have given Press interviews and read Press reports or seen TV newscasts in which I have spoken about:

(1) “Marital Rape” and clearly stated that we were drafting an amendment to the Sexual Offences Act. I also clearly stated that the new proposed offence of “aggravated spousal abuse” was a preferred means to avoid stigmatizing incidents in a subsisting marriage as “rape”, but was necessary also as a means to provide protection to abused spouses;

(2) “The intention to amend the Bahamas Nationality Act” where I spoke to the Press about the government’s intention to provide a legal framework where children of Bahamian males or females, born in or out of marriage anywhere in the world could receive citizenship by being registered “upon application”.

(3) “The Independent Committee to review the backlog of constitution-based citizenship applications by persons born in The Bahamas to non-Bahamian parents after Independence”. Again, a number of Press reports covered my comments on this matter.

(4) “Immigration Law reforms” comments that I made were also reported, particularly the proposed increased penalties for harbouring and providing employment to undocumented migrants.

In each case mentioned in my remarks at the UN UPR in Geneva I was careful to state that these initiatives were “draft” Bills, “proposed” Laws or “being finalized”. Where I spoke about the Independent Committee on Citizenship applications, I mentioned the fact that the government “plans to introduce” a Review Committee chaired by a retired Chief Justice.

I further, in respect of the draft “aggravated spousal sexual abuse” amendment Bill, specifically stated in Geneva that the Bill had been forwarded to religious leaders and civil society for consultation; (each of whom having been specifically asked to consult with their associates or affiliated organizations). This had been done since early January, 2018. Up to the day of my comments I had received only one reply from civil society which reflected what I viewed as general support, with a few points of criticism as to certain aspects of the proposed Bill, such as the time limit.

All of these statements are facts; facts that I have spoken to the Bahamian People about, through the news media, on a number of occasions, and before going to defend my country’s Human Rights record in Geneva.

Each of these items were mentioned specifically to show the ongoing seriousness with which the government was either addressing previous commitments made to improve Human Rights, or grappling with the means to effect social progress, protect the vulnerable and take The Bahamas to a better place for the benefit of all Bahamians.

It is therefore deeply distressing to see my words apparently deliberately distorted, contorted and twisted out of all recognition.

I therefore urge all Bahamians to actually read the words in the Report that I gave to the UN, rather than to be driven by the excesses and errors depicted in Social Media and, most of all, to avoid knee-jerk commentary.

/*
{
  "formula": "C4H9ClS",
  "method": "ωB97M-V/def2-TZVPD",
  "fmax_ev_per_a": 2.84,
  "homo_energy_ev": -8.583,
  "total_charge": 0,
  "smiles": "C=C(C)SC.Cl",
  "lumo_ev": 0.84,
  "elements": ["C", "C", "C", "C", "S", "Cl", "H", "H", "H", "H", "H", "H", "H", "H", "H"],
  "positions_angstrom": [[0.046969, -0.072531, -1.774036], [0.528482, 1.039163, 0.393154], [0.732302, -1.453273, 2.023942], [0.261338, -0.076229, -0.282075], [-0.001476, -1.745350, 0.398463], [-3.159335, 1.851962, -1.898322], [1.029240, -0.272436, -2.424778], [-0.307204, 0.921047, -1.933058], [-0.636477, -0.902449, -1.984080], [0.952117, 1.926828, -0.093209], [0.475957, 0.999227, 1.413097], [-2.347140, 1.226215, -1.216996], [0.499841, -0.394291, 2.397837], [1.826327, -1.553781, 2.077654], [0.242450, -2.155034, 2.774400]],
  "forces_ev_per_a": [[2.543, -1.186, -0.431], [0.494, -0.396, -2.041], [-0.859, 0.499, 2.002], [0.047, -0.888, -0.456], [0.522, 1.647, 0.334], [-1.209, 0.926, -0.992], [-2.021, 0.450, 1.550], [-0.496, 0.363, -1.108], [-0.194, 0.567, -0.496], [-0.743, -0.264, 0.083], [0.287, 0.437, 2.350], [1.167, -0.915, 1.059], [0.132, -1.834, -0.509], [-0.394, -0.180, -0.332], [0.724, 0.776, -1.014]]
}

***

{
  "formula": "C4H9ClS",
  "method": "ωB97M-V/def2-TZVPD",
  "fmax_ev_per_a": 4.03,
  "homo_energy_ev": -9.279,
  "total_charge": 0,
  "smiles": "C[C@H](Cl)[C@@H](C)S",
  "lumo_ev": 0.79,
  "elements": ["C", "C", "C", "C", "H", "H", "H", "H", "H", "H", "H", "H", "H", "S", "Cl"],
  "positions_angstrom": [[-2.303606, 0.240788, -0.030838], [-0.771232, 0.502795, -0.132586], [-0.003173, -0.579861, -0.858069], [0.132680, -1.787416, -0.056088], [-2.910455, 1.204727, -0.105579], [-2.645923, -0.225078, -0.948088], [-2.612235, -0.246607, 0.884802], [-0.680417, 1.433164, -0.712247], [-0.400025, -0.403809, 1.960148], [-0.194978, -0.833715, -1.985398], [0.708364, -2.576727, -0.629937], [-0.951805, -2.253184, -0.003915], [0.480022, -1.589531, 0.983281], [-0.047497, 0.857352, 1.652709], [1.625846, 0.089135, -1.142407]],
  "forces_ev_per_a": [[-0.258, 1.860, -0.538], [-1.312, 1.331, 0.490], [0.909, 0.574, -1.931], [-1.881, -3.564, 0.112], [1.117, -0.876, 0.572], [0.007, -0.839, 0.027], [-0.047, -0.431, -0.108], [0.336, -0.200, 0.458], [0.005, 0.456, 0.562], [-0.983, 0.642, 2.313], [-0.289, 0.943, 1.076], [1.886, 0.777, 0.218], [0.141, -0.536, -1.175], [-0.925, -0.582, -1.979], [1.293, 0.445, -0.097]]
}

***

{
  "formula": "C4H9ClS2",
  "method": "ωB97M-V/def2-TZVPD",
  "fmax_ev_per_a": 3.44,
  "homo_energy_ev": -8.904,
  "total_charge": 0,
  "lumo_ev": 0.69,
  "elements": ["Cl", "S", "S", "C", "C", "C", "C", "H", "H", "H", "H", "H", "H", "H", "H", "H"],
*/
• Here the article continues:

Senator the Hon. Carl Bethel, QC
Attorney General and Minister of Legal Affairs
January 19, 2018